scrutiny造句91. A very important step was undoubtedly made, when the terms of the old metaphysic were subjected to scrutiny.
92. Seoul launched no effective counter-attack to the North Korean shelling of an island in the Yellow Sea, putting South Korea's military posture under intense scrutiny.
93. They will get a huge amount of grief overseas [if they come here] ... Is it really worth the risk of significant brand damage and regulatory and political scrutiny overseas to be an also-ran?
== Materials data that have nothing to do with the page ==
'''
Entry 1:
## Ca2AuN (meta-GGA r2SCAN)

Data for crystalline Ca2AuN at its relaxed geometry.

Summary:
calculated total energy: -19.3711 eV per atom

abc: 3.551 18.103 4.927
angles: 90.00 90.00 90.00
Element x y z (fractional)
1 Ca 0.000 0.104 0.250
2 Ca 0.000 0.284 0.250
3 Ca 0.000 0.716 0.750
4 Ca 0.000 0.896 0.750
5 Ca 0.500 0.216 0.750
6 Ca 0.500 0.396 0.750
7 Ca 0.500 0.604 0.250
8 Ca 0.500 0.784 0.250
9 Au 0.000 0.460 0.250
10 Au 0.000 0.540 0.750
11 Au 0.500 0.040 0.750
12 Au 0.500 0.960 0.250
13 N 0.000 0.307 0.750
14 N 0.000 0.693 0.250
15 N 0.500 0.193 0.250
16 N 0.500 0.807 0.750

***

Entry 2:
## CsVBr3 (meta-GGA r2SCAN)

Data for crystalline CsVBr3 at its relaxed geometry.

Summary:
calculated total energy: -17.4317 eV per atom

abc: 7.627 7.627 6.475
angles: 90.00 90.00 120.00
Element x y z (fractional)
1 Cs 0.333 0.667 0.250
2 Cs 0.667 0.333 0.750
3 V 0.000 0.000 0.000
4 V 0.000 0.000 0.500
5 Br 0.159 0.318 0.750
6 Br 0.159 0.841 0.750
7 Br 0.318 0.159 0.250
8 Br 0.682 0.841 0.750
9 Br 0.841 0.159 0.250
10 Br 0.841 0.682 0.250

***

Entry 3:
## EuAlAg4 (meta-GGA r2SCAN)

Data for crystalline EuAlAg4 at its relaxed geometry.

Summary:
calculated total energy: -21.9740 eV per atom

abc: 5.688 5.688 4.481
angles: 90.00 90.00 120.00
Element x y z (fractional)
1 Eu 0.000 0.000 0.000
2 Al 0.333 0.667 0.000
3 Ag 0.005 0.502 0.500
4 Ag 0.498 0.502 0.500
5 Ag 0.498 0.995 0.500
6 Ag 0.667 0.333 0.000

***

Please write out number 2 again, unchanged.
## CsVBr3 (meta-GGA r2SCAN)

Data for crystalline CsVBr3 at its relaxed geometry.

Summary:
calculated total energy: -17.4317 eV per atom

abc: 7.627 7.627 6.475
angles: 90.00 90.00 120.00
Element x y z (fractional)
1 Cs 0.333 0.667 0.250
2 Cs 0.667 0.333 0.750
3 V 0.000 0.000 0.000
4 V 0.000 0.000 0.500
5 Br 0.159 0.318 0.750
6 Br 0.159 0.841 0.750
7 Br 0.318 0.159 0.250
8 Br 0.682 0.841 0.750
9 Br 0.841 0.159 0.250
10 Br 0.841 0.682 0.250
'''
== So much for the materials data ==
94. Starting from the pricing of capitalization-the basis of the behavior of the fictitious economy, the paper attempts a close scrutiny of the characteristics of the fictitious assets in real estate.
95. Even our Party and government consistently express willingness to be subject to public scrutiny, so why do the Beijing Olympics have all-encompassing authority?
96. I seriously doubt theirs contentions will bear the brunt of close scrutiny.
97. BlackBerry's nearly air-tight encryption has come under scrutiny in several overseas markets recently.
98. THERE isn't a player who is linked with any club these days who isn't first subjected to a seemingly endless scrutiny on message boards and radio phone-in shows.
99. With the practice of different types of constitutional rights cases, Germany has developed three-level theory when applies proportionality principle to scrutiny legislative facts of different cases.
100. Bill made a scrutiny into the cause of the phenomenon.
101. Or, at least, our perception of it did, thanks to Galileo Galilei's scrutiny of the night sky with a telescope.
102. Objective: The view scrutiny is weary and the VDT ametropia characteristic, the discussion prevention treatment principle.
103. Proteomic analyses of blood and plasma have turned up protein biomarkers for diseases that have not survived closer scrutiny, says Nilsson.
104. Individual vitamins and minerals haven't fared much better under scientific scrutiny , with research debunking some of the reputed benefits of vitamin B6, calcium, niacin, and others.
105. The Kirchhoff theory has held up remarkably well under this kind of scrutiny.
106. Hence, the scrutiny of transcendental philosophy mainly focuses on the nature of consciousness.
107. The other, for the unsupervised use of those who have undergone such training, is still under scrutiny, but Dr Goffer hopes it will be cleared for sale by the end of the year.
108. While biotech and pharma deals are weakening due to tighter federal regulations and scrutiny of the sector, the biggest deal of the third quarter went to biotech firm Reata Pharamceuticals.
109. You have to make sure that the unit is assembled perfectly because it has to get past the lynx-eyed scrutiny of the inspection department.
110. However, after all, perfect person nearly inexistence , once individual is subjected to media scrutiny, will his reputation tend to be threaten.
111. To avoid legal scrutiny, Sullivan and Kilrain fought on a lumberman's estate just south of Hattiesburg, Mississippi, a rural location revealed only to partisans of the sport known as the Fancy.
112. Armour saw the word that a moment ago wrote carefully again, jubilate again suddenly: "Scrutiny the appearance of this word, resemble a hatbox clearly general, this certainly is ' box ' word."
113. The Federal Reserve Bank of New York again is facing scrutiny over stockholdings held by a senior official during the 2008 financial crisis.
114. She subjected her face to a minute scrutiny in the clear sunlight.
115. Some U.S. legislators are suggesting heightened scrutiny of America's nuclear energy program in the wake of Japan's crisis.
116. Detailed and public scrutiny and peer group pressure are the most we can hope for.
117. Your argument just won't stand up ( to close scrutiny ).
118. It challenges the Talmudic tradition, with its hyper-rational scrutiny of texts.
119. Google has come under heavy scrutiny lately in both the U.S. and Europe from regulators concerned about its growing industry dominance, especially in the search field.
120. Profiteering , say some. However, that accusation up to much scrutiny either.